(Activity)
It remains to reproduce the lines underneath up to the one that holds "Re1 0.000", that line included.

(Data)
-- begin --
[1]
VASP calculation (PBEsol) on crystalline Bi2BS at its relaxed geometry.

Computed properties:
As for the raw formation energy: 593 meV per atom. As for the final energy: -0.3234 Ry/atom.

Cell lengths 6.650, 6.650, 8.752 Å; angles 90.00, 90.00, 90.00 degrees
Space group I-42d (No. 122)
Inequivalent atoms, fractional coordinates:
Bi1 0.198 0.750 0.125 (multiplicity 8)
B1 0.000 0.000 0.000 (multiplicity 4)
S1 0.000 0.000 0.500 (multiplicity 4)

[2]
VASP calculation (PBEsol) on crystalline Al3WF at its relaxed geometry.

Computed properties:
As for the raw formation energy: -130 meV per atom. As for the final energy: -0.4213 Ry/atom.

Cell lengths 4.119, 4.119, 4.119 Å; angles 90.00, 90.00, 90.00 degrees
Space group Pm-3m (No. 221)
Inequivalent atoms, fractional coordinates:
Al1 0.000 0.000 0.500 (multiplicity 3)
W1 0.500 0.500 0.500 (multiplicity 1)
F1 0.000 0.000 0.000 (multiplicity 1)

[3]
VASP calculation (PBEsol) on crystalline LuB2C at its relaxed geometry.

Computed properties:
The formation energy is -634 meV per atom. As for the final energy: -0.5712 Ry/atom.

Cell lengths 6.632, 6.766, 3.523 Å; angles 90.00, 90.00, 90.00 degrees
Space group Pbam (No. 55)
Inequivalent atoms, fractional coordinates:
Lu1 0.189 0.193 0.000 (multiplicity 4)
B1 0.096 0.907 0.500 (multiplicity 4)
B2 0.153 0.467 0.500 (multiplicity 4)
C1 0.041 0.679 0.500 (multiplicity 4)

[4]
VASP calculation (PBEsol) on crystalline MgZrBe at its relaxed geometry.

Computed properties:
The formation energy is 215 meV per atom. As for the final energy: -0.3470 Ry/atom.

Cell lengths 4.3514, 4.3514, 3.1781 Å; angles 90.00, 90.00, 120.00 degrees
Space group P-6m2 (No. 187)
Inequivalent atoms, fractional coordinates:
Mg1 0.0000 0.0000 0.0000 (multiplicity 1)
Zr1 0.3333 0.6667 0.5000 (multiplicity 1)
Be1 0.6667 0.3333 0.0000 (multiplicity 1)

[5]
VASP calculation (PBEsol) on crystalline Mg3Sc at its relaxed geometry.

Computed properties:
The formation energy is -32 meV per atom. As for the final energy: -0.2184 Ry/atom.

Cell lengths 4.478, 4.478, 4.478 Å; angles 90.00, 90.00, 90.00 degrees
Space group Pm-3m (No. 221)
Inequivalent atoms, fractional coordinates:
Mg1 0.000 0.000 0.500 (multiplicity 3)
Sc1 0.500 0.500 0.500 (multiplicity 1)

[6]
VASP calculation (PBEsol) on crystalline ReRh7 at its relaxed geometry.

Computed properties:
The formation energy is -70 meV per atom. The energy above the most stable polymorph in this dataset comes out at 0 meV/atom. As for the final energy: -0.6510 Ry/atom.

Cell lengths 5.345, 10.730, 3.787 Å; angles 90.00, 90.00, 90.00 degrees
Space group Cmmm (No. 65)
Inequivalent atoms, fractional coordinates:
Re1 0.000 0.000 0.000 (multiplicity 2)
Rh1 0.000 0.245 0.000 (multiplicity 4)
Rh2 0.000 0.500 0.000 (multiplicity 2)
Rh3 0.246 0.123 0.500 (multiplicity 8)


# 1
DFT (PBE) results for a relaxed ZrInNiIr crystal.

As for the calculated volume: 271 Å³ per cell. The total DFT energy (no corrections) is -111.51 eV for the cell shown. The calculation puts the magnetization at 0.0000 μB/atom. The formation enthalpy at 0 K comes out at -0.49 eV/atom.

The structure belongs to space group F-43m (No. 216); the cell edges are 6.4716, 6.4716 and 6.4716 Å and the angles 90.00°, 90.00° and 90.00°. The distinct sites, in fractional coordinates, are Zr at (0.0000, 0.0000, 0.0000), In at (0.0000, 0.0000, 0.5000), Ni at (0.2500, 0.2500, 0.7500) and Ir at (0.2500, 0.2500, 0.2500).

# 2
DFT (PBE) results for a relaxed Na2SrUO6 crystal.

As for the calculated volume: 307 Å³ per cell. The total DFT energy (no corrections) is -135.72 eV for the cell shown. Its formation energy without anion corrections is -2250.5 meV/atom. The calculation puts the magnetization at 0.2088 μB/atom.
-- stop --

(Reply)
[1]
VASP calculation (PBEsol) on crystalline Bi2BS at its relaxed geometry.

Computed properties:
As for the raw formation energy: 593 meV per atom. As for the final energy: -0.3234 Ry/atom.

Cell lengths 6.650, 6.650, 8.752 Å; angles 90.00, 90.00, 90.00 degrees
Space group I-42d (No. 122)
Inequivalent atoms, fractional coordinates:
Bi1 0.198 0.750 0.125 (multiplicity 8)
B1 0.000 0.000 0.000 (multiplicity 4)
S1 0.000 0.000 0.500 (multiplicity 4)

[2]
VASP calculation (PBEsol) on crystalline Al3WF at its relaxed geometry.

Computed properties:
As for the raw formation energy: -130 meV per atom. As for the final energy: -0.4213 Ry/atom.

Cell lengths 4.119, 4.119, 4.119 Å; angles 90.00, 90.00, 90.00 degrees
Space group Pm-3m (No. 221)
Inequivalent atoms, fractional coordinates:
Al1 0.000 0.000 0.500 (multiplicity 3)
W1 0.500 0.500 0.500 (multiplicity 1)
F1 0.000 0.000 0.000 (multiplicity 1)

[3]
VASP calculation (PBEsol) on crystalline LuB2C at its relaxed geometry.

Computed properties:
The formation energy is -634 meV per atom. As for the final energy: -0.5712 Ry/atom.

Cell lengths 6.632, 6.766, 3.523 Å; angles 90.00, 90.00, 90.00 degrees
Space group Pbam (No. 55)
Inequivalent atoms, fractional coordinates:
Lu1 0.189 0.193 0.000 (multiplicity 4)
B1 0.096 0.907 0.500 (multiplicity 4)
B2 0.153 0.467 0.500 (multiplicity 4)
C1 0.041 0.679 0.500 (multiplicity 4)

[4]
VASP calculation (PBEsol) on crystalline MgZrBe at its relaxed geometry.

Computed properties:
The formation energy is 215 meV per atom. As for the final energy: -0.3470 Ry/atom.

Cell lengths 4.3514, 4.3514, 3.1781 Å; angles 90.00, 90.00, 120.00 degrees
Space group P-6m2 (No. 187)
Inequivalent atoms, fractional coordinates:
Mg1 0.0000 0.0000 0.0000 (multiplicity 1)
Zr1 0.3333 0.6667 0.5000 (multiplicity 1)
Be1 0.6667 0.3333 0.0000 (multiplicity 1)

[5]
VASP calculation (PBEsol) on crystalline Mg3Sc at its relaxed geometry.

Computed properties:
The formation energy is -32 meV per atom. As for the final energy: -0.2184 Ry/atom.

Cell lengths 4.478, 4.478, 4.478 Å; angles 90.00, 90.00, 90.00 degrees
Space group Pm-3m (No. 221)
Inequivalent atoms, fractional coordinates:
Mg1 0.000 0.000 0.500 (multiplicity 3)
Sc1 0.500 0.500 0.500 (multiplicity 1)

[6]
VASP calculation (PBEsol) on crystalline ReRh7 at its relaxed geometry.

Computed properties:
The formation energy is -70 meV per atom. The energy above the most stable polymorph in this dataset comes out at 0 meV/atom. As for the final energy: -0.6510 Ry/atom.

Cell lengths 5.345, 10.730, 3.787 Å; angles 90.00, 90.00, 90.00 degrees
Space group Cmmm (No. 65)
Inequivalent atoms, fractional coordinates:
Re1 0.000 0.000 0.000 (multiplicity 2)